Assignment
Search the data further below for the word "XYZ" and give back each line that has it, please.

File
- - -
Entry 1:
Here is C53H50MoN5O2P2SSbSe5 as an isolated structure from OMol25. Energies are from ωB97M-V/def2-TZVPD.

Output
Orbital gap = 5.7729 eV
Total charge = 0
E = -15870.51036 Ha
Multiplicity = 1

Structure (XYZ):
```
120
Properties=species:S:1:pos:R:3:forces:R:3
Mo 0.92044 -1.09904 0.40472 0.4 -0.7 -0.3
C -1.38827 3.68492 6.96063 0.0 0.0 0.0
C -1.00588 2.49036 6.13188 0.0 0.0 0.0
C -0.50605 1.33818 6.73472 0.0 0.0 0.0
C -0.17667 0.22424 5.97966 0.0 -0.1 0.0
C -0.34413 0.25735 4.60249 0.0 0.0 0.0
C -0.85241 1.38785 3.98488 0.0 0.0 -0.1
C -1.17235 2.49693 4.74952 0.0 0.0 0.0
S 0.03752 -1.18719 3.64258 -0.1 0.0 0.0
O -1.16060 -1.52940 2.92540 0.1 -0.1 0.1
O 0.60048 -2.13932 4.55588 0.1 0.0 0.0
N 1.14592 -0.75730 2.50712 -0.1 0.1 -0.1
C 2.44398 -0.46636 2.95554 0.1 0.0 0.1
C 2.83239 -0.16602 4.24510 0.0 -0.1 -0.1
C 4.17286 0.11858 4.56786 0.0 0.0 0.0
C 5.15665 0.10061 3.62494 0.0 0.0 0.0
C 4.80985 -0.20121 2.29038 0.0 0.0 0.0
C 5.76546 -0.27178 1.25522 0.0 0.0 0.0
C 5.37351 -0.57580 -0.01564 0.0 0.0 0.0
C 4.00944 -0.78820 -0.26483 0.1 0.0 0.0
N 3.09340 -0.72348 0.67642 -0.4 0.0 -0.1
C 3.46345 -0.46166 1.96132 0.1 0.0 0.1
H -0.71409 3.80951 7.80841 0.0 0.0 0.0
H -2.39923 3.57106 7.35947 0.0 0.0 0.0
H -1.36854 4.59982 6.36845 0.0 0.0 0.0
H -0.37673 1.30930 7.81092 0.0 0.0 0.0
H 0.19670 -0.67811 6.44839 0.0 0.0 0.0
H -0.99069 1.40597 2.91325 0.0 0.0 0.0
H -1.56866 3.38000 4.25990 0.0 0.0 0.0
H 2.12088 -0.16450 5.04820 -0.1 0.0 0.1
H 4.41267 0.34054 5.60018 0.0 0.0 0.0
H 6.19156 0.29660 3.87559 0.0 0.0 0.0
H 6.80811 -0.09307 1.49187 0.0 0.0 0.0
H 6.07699 -0.66083 -0.83214 0.0 0.0 0.0
H 3.67201 -1.02430 -1.26104 0.0 0.0 -0.1
C -2.01901 -0.32067 -1.53461 0.1 -0.1 0.1
N -1.78494 -1.30122 -2.56780 -0.1 0.4 -0.2
C -0.43965 -1.65417 -2.99750 -0.1 -0.1 0.2
P 0.94805 -0.81662 -2.14089 0.1 0.1 0.1
C 0.97058 0.87204 -2.85285 -0.2 0.1 0.1
C 0.10231 1.25808 -3.87246 0.0 0.0 0.0
C 0.28256 2.46796 -4.53229 0.0 0.0 0.0
C 1.32648 3.30809 -4.17341 0.0 0.1 0.0
C 2.17573 2.94720 -3.13388 0.0 0.0 0.0
C 1.99702 1.73887 -2.47843 0.0 0.0 0.0
C 2.28725 -1.54924 -3.17729 -0.1 0.0 -0.1
C 2.83481 -0.83850 -4.24969 0.1 0.1 0.0
C 3.77051 -1.42892 -5.08499 0.0 0.0 0.0
C 4.16223 -2.74420 -4.87941 0.0 0.0 0.0
C 3.61182 -3.46448 -3.83228 -0.1 0.0 0.1
C 2.68554 -2.86990 -2.98611 0.1 0.0 -0.1
C -2.78141 -1.52157 -3.54818 0.1 -0.1 0.0
C -3.64211 -0.51532 -3.98451 0.0 0.0 0.1
C -4.60081 -0.78681 -4.95244 0.0 0.0 0.0
C -4.69600 -2.05054 -5.51208 0.0 0.0 0.0
C -3.82885 -3.05147 -5.08952 0.0 0.0 0.0
C -2.88470 -2.79580 -4.11089 0.1 0.0 0.0
P -1.65075 -0.99690 0.17013 0.2 0.0 0.0
C -2.63979 -2.52599 0.15054 0.0 -0.1 0.0
C -3.83013 -2.52488 -0.58285 0.0 0.0 0.0
C -4.63256 -3.65047 -0.62695 0.0 0.0 0.0
C -4.26506 -4.78877 0.07652 0.0 0.0 0.0
C -3.10005 -4.79289 0.82158 0.1 0.0 0.0
C -2.28391 -3.66832 0.85808 -0.2 0.1 -0.1
C -2.71340 0.11092 1.16768 0.0 0.1 0.0
C -3.58168 -0.40414 2.12722 -0.1 0.0 0.0
C -4.39927 0.44441 2.85892 0.0 -0.1 0.0
C -4.36849 1.81426 2.63931 0.0 0.1 0.0
C -3.51081 2.33535 1.68197 0.0 0.0 0.0
C -2.68756 1.48620 0.95606 -0.1 -0.1 0.1
H -3.05809 -0.00548 -1.56622 0.0 0.0 0.0
H -1.41485 0.58939 -1.63730 0.0 0.1 -0.1
H -0.31351 -1.47064 -4.06997 0.0 0.0 0.0
H -0.23339 -2.71982 -2.83760 0.0 -0.1 0.0
H -0.70482 0.60673 -4.18672 0.0 0.0 0.0
H -0.38661 2.74138 -5.33907 0.0 0.0 0.0
H 1.47885 4.24334 -4.69834 0.0 0.0 0.0
H 2.99048 3.60171 -2.84570 0.0 0.0 0.0
H 2.67858 1.45160 -1.68639 0.0 0.0 0.0
H 2.54283 0.18411 -4.44720 0.0 -0.1 0.0
H 4.18536 -0.85677 -5.90599 0.0 0.0 0.0
H 4.88631 -3.20627 -5.53927 0.0 0.0 0.0
H 3.87793 -4.49783 -3.65042 0.0 0.0 0.0
H 2.28698 -3.47965 -2.19312 -0.1 -0.1 0.2
H -3.56752 0.48354 -3.57064 0.0 0.0 0.0
H -5.26895 0.00206 -5.27708 0.0 0.0 0.0
H -5.44272 -2.25816 -6.26813 0.0 0.0 0.0
H -3.90204 -4.04698 -5.51026 0.0 0.0 0.0
H -2.23314 -3.58312 -3.74629 0.0 0.0 0.0
H -4.14631 -1.64639 -1.13052 0.0 -0.1 0.0
H -5.54124 -3.63759 -1.21701 0.0 0.0 0.0
H -4.88329 -5.67708 0.03391 0.0 0.0 0.0
H -2.79393 -5.67855 1.35774 0.0 -0.1 0.0
- - -

Outcome
Structure (XYZ):